-- Given --
No. 1
Molecular formula: C28H28FMoN2O2
Method: DFT, ωB97M-V/def2-TZVPD

LUMO level (spin up / spin down) ... -4.982 / -4.984 eV
HOMO (spin up / spin down) ... -11.45 / -11.45 eV
Total charge ... +1

Last column: Löwdin charge in e.
Geometry (Å):
1 Mo 0.52034 0.63126 0.27246  1.68
2 C -2.93662 0.32688 4.24933  -0.04
3 C -1.99270 1.09384 3.31833  -0.37
4 C -2.50698 2.52026 3.08328  -0.04
5 C -0.57529 1.11543 3.86664  -0.14
6 C -0.31608 1.78792 5.05528  -0.02
7 C 0.96012 1.83357 5.58423  -0.04
8 C 2.00360 1.21098 4.91952  -0.02
9 C 1.79980 0.52081 3.72876  -0.14
10 C 3.01852 -0.08751 3.05148  -0.35
11 C 3.48036 0.74096 1.84762  -0.04
12 C 2.90718 -1.57463 2.69840  -0.04
13 C 0.49486 0.47935 3.21860  -0.19
14 N 0.22868 -0.19161 1.97356  -0.12
15 C -0.42630 -1.43466 2.04949  -0.23
16 C -0.63314 -2.19246 3.19882  0.00
17 C -1.28664 -3.41238 3.10537  -0.05
18 C -1.74037 -3.89942 1.88749  -0.05
19 C -1.54252 -3.16536 0.72241  0.02
20 C -0.89558 -1.97329 0.86792  -0.16
21 F -0.64102 -1.16183 -0.25053  -0.05
22 H -3.93494 0.27128 3.81332  0.09
23 H -3.01921 0.82883 5.21525  0.08
24 H -2.58414 -0.68998 4.42407  0.07
25 H -1.99543 0.59079 2.35171  0.10
26 H -2.58850 3.07100 4.02105  0.08
27 H -3.49849 2.49248 2.62831  0.09
28 H -1.83911 3.07748 2.42314  0.07
29 H -1.12938 2.27895 5.57522  0.12
30 H 1.14541 2.35401 6.51452  0.11
31 H 3.00299 1.25251 5.33530  0.12
32 H 3.81618 -0.00643 3.79216  0.13
33 H 2.89614 0.53386 0.93999  0.03
34 H 4.50300 0.47480 1.57696  0.10
35 H 3.45552 1.81151 2.05751  0.09
36 H 2.25878 -1.75097 1.84040  0.06
37 H 2.52977 -2.15174 3.54287  0.09
38 H 3.89245 -1.96507 2.44084  0.09
39 H -0.27783 -1.82159 4.15148  0.13
40 H -1.44284 -3.99642 4.00227  0.12
41 H -2.24467 -4.85398 1.83687  0.12
42 H -1.86972 -3.51304 -0.24742  0.13
43 O 1.34148 1.30595 -1.79898  -0.13
44 N 2.02040 0.28851 -1.91443  -0.11
45 O 1.86122 -0.47098 -0.88521  -0.27
46 C 0.48924 5.47877 0.17400  -0.04
47 C 1.15031 4.37487 0.75247  -0.04
48 C 0.60403 3.12868 0.65325  -0.12
49 C -0.62308 2.92084 -0.04484  -0.22
50 C -1.15911 1.61332 -0.21118  -0.24
51 C -2.36290 1.42769 -0.84229  -0.06
52 C -3.06399 2.53882 -1.33361  -0.04
53 C -2.53325 3.80283 -1.23511  0.01
54 C -1.29459 4.03324 -0.59966  -0.15
55 C -0.70410 5.31580 -0.47035  0.01
56 H 0.92634 6.46356 0.26338  0.12
57 H 2.07236 4.52246 1.29863  0.12
58 H 1.06419 2.38466 1.33625  0.08
59 H -2.76362 0.43206 -0.98905  0.11
60 H -4.01579 2.39147 -1.82558  0.12
61 H -3.06740 4.64648 -1.65449  0.13
62 H -1.21857 6.17032 -0.89192  0.13

Forces on atoms 1 to 6 (eV/Å):
0.85 0.54 -0.70
0.04 0.04 -0.01
-0.06 0.15 0.08
0.03 -0.08 -0.03
-0.07 -0.12 -0.13
0.00 0.00 0.03

=====

No. 2
Molecular formula: C28H28N4O6
Method: DFT, ωB97M-V/def2-TZVPD

ΔE to the lowest compared entry with this formula, charge and spin ... 8.164 eV
LUMO level ... -2.965 eV
HOMO ... -6.56 eV

Last column: Löwdin charge in e.
Geometry (Å):
1 C -3.67718 -0.02129 -4.24405  0.00
2 N -2.48989 -0.27294 -3.46213  -0.04
3 C -1.44514 -1.00628 -3.94249  -0.36
4 O -1.41215 -1.56655 -5.03504  0.10
5 C -0.36489 -1.00577 -2.85847  -0.15
6 C 0.93112 -0.32857 -3.31393  -0.08
7 C 1.57447 -1.05422 -4.47372  -0.24
8 C 1.79445 -0.38508 -5.68134  -0.04
9 C 2.28361 -1.08878 -6.78276  -0.07
10 C 2.59778 -2.44860 -6.66009  -0.08
11 C 2.42054 -3.10356 -5.43478  -0.07
12 C 1.91875 -2.40193 -4.33575  -0.04
13 N -1.02761 -0.31523 -1.74751  0.05
14 C -0.40288 -0.13896 -0.56743  0.05
15 C -0.96761 0.53936 0.50229  -0.05
16 C -0.38527 0.73408 1.74483  0.08
17 C -1.03424 1.45018 2.79853  -0.15
18 C -0.37995 1.66078 4.05591  0.04
19 C -0.99436 2.30975 5.11015  0.05
20 C -2.30119 2.82596 4.94580  -0.14
21 N -2.94368 3.53121 5.99354  -0.31
22 O -4.09474 3.98155 5.77448  0.06
23 O -2.35489 3.68358 7.08671  0.08
24 C -2.97619 2.65914 3.72426  0.02
25 C -2.36131 1.99201 2.67498  0.01
26 C -2.36446 0.19852 -2.09263  -0.46
27 C -2.44435 1.73200 -2.06924  0.01
28 C -3.49637 -0.38972 -1.23640  0.01
29 H -3.54157 -0.44440 -5.24259  0.10

-- Work order --
Set down all of the notes further above character by character, please.

-- Solution --
No. 1
Molecular formula: C28H28FMoN2O2
Method: DFT, ωB97M-V/def2-TZVPD

LUMO level (spin up / spin down) ... -4.982 / -4.984 eV
HOMO (spin up / spin down) ... -11.45 / -11.45 eV
Total charge ... +1

Last column: Löwdin charge in e.
Geometry (Å):
1 Mo 0.52034 0.63126 0.27246  1.68
2 C -2.93662 0.32688 4.24933  -0.04
3 C -1.99270 1.09384 3.31833  -0.37
4 C -2.50698 2.52026 3.08328  -0.04
5 C -0.57529 1.11543 3.86664  -0.14
6 C -0.31608 1.78792 5.05528  -0.02
7 C 0.96012 1.83357 5.58423  -0.04
8 C 2.00360 1.21098 4.91952  -0.02
9 C 1.79980 0.52081 3.72876  -0.14
10 C 3.01852 -0.08751 3.05148  -0.35
11 C 3.48036 0.74096 1.84762  -0.04
12 C 2.90718 -1.57463 2.69840  -0.04
13 C 0.49486 0.47935 3.21860  -0.19
14 N 0.22868 -0.19161 1.97356  -0.12
15 C -0.42630 -1.43466 2.04949  -0.23
16 C -0.63314 -2.19246 3.19882  0.00
17 C -1.28664 -3.41238 3.10537  -0.05
18 C -1.74037 -3.89942 1.88749  -0.05
19 C -1.54252 -3.16536 0.72241  0.02
20 C -0.89558 -1.97329 0.86792  -0.16
21 F -0.64102 -1.16183 -0.25053  -0.05
22 H -3.93494 0.27128 3.81332  0.09
23 H -3.01921 0.82883 5.21525  0.08
24 H -2.58414 -0.68998 4.42407  0.07
25 H -1.99543 0.59079 2.35171  0.10
26 H -2.58850 3.07100 4.02105  0.08
27 H -3.49849 2.49248 2.62831  0.09
28 H -1.83911 3.07748 2.42314  0.07
29 H -1.12938 2.27895 5.57522  0.12
30 H 1.14541 2.35401 6.51452  0.11
31 H 3.00299 1.25251 5.33530  0.12
32 H 3.81618 -0.00643 3.79216  0.13
33 H 2.89614 0.53386 0.93999  0.03
34 H 4.50300 0.47480 1.57696  0.10
35 H 3.45552 1.81151 2.05751  0.09
36 H 2.25878 -1.75097 1.84040  0.06
37 H 2.52977 -2.15174 3.54287  0.09
38 H 3.89245 -1.96507 2.44084  0.09
39 H -0.27783 -1.82159 4.15148  0.13
40 H -1.44284 -3.99642 4.00227  0.12
41 H -2.24467 -4.85398 1.83687  0.12
42 H -1.86972 -3.51304 -0.24742  0.13
43 O 1.34148 1.30595 -1.79898  -0.13
44 N 2.02040 0.28851 -1.91443  -0.11
45 O 1.86122 -0.47098 -0.88521  -0.27
46 C 0.48924 5.47877 0.17400  -0.04
47 C 1.15031 4.37487 0.75247  -0.04
48 C 0.60403 3.12868 0.65325  -0.12
49 C -0.62308 2.92084 -0.04484  -0.22
50 C -1.15911 1.61332 -0.21118  -0.24
51 C -2.36290 1.42769 -0.84229  -0.06
52 C -3.06399 2.53882 -1.33361  -0.04
53 C -2.53325 3.80283 -1.23511  0.01
54 C -1.29459 4.03324 -0.59966  -0.15
55 C -0.70410 5.31580 -0.47035  0.01
56 H 0.92634 6.46356 0.26338  0.12
57 H 2.07236 4.52246 1.29863  0.12
58 H 1.06419 2.38466 1.33625  0.08
59 H -2.76362 0.43206 -0.98905  0.11
60 H -4.01579 2.39147 -1.82558  0.12
61 H -3.06740 4.64648 -1.65449  0.13
62 H -1.21857 6.17032 -0.89192  0.13

Forces on atoms 1 to 6 (eV/Å):
0.85 0.54 -0.70
0.04 0.04 -0.01
-0.06 0.15 0.08
0.03 -0.08 -0.03
-0.07 -0.12 -0.13
0.00 0.00 0.03

=====

No. 2
Molecular formula: C28H28N4O6
Method: DFT, ωB97M-V/def2-TZVPD

ΔE to the lowest compared entry with this formula, charge and spin ... 8.164 eV
LUMO level ... -2.965 eV
HOMO ... -6.56 eV

Last column: Löwdin charge in e.
Geometry (Å):
1 C -3.67718 -0.02129 -4.24405  0.00
2 N -2.48989 -0.27294 -3.46213  -0.04
3 C -1.44514 -1.00628 -3.94249  -0.36
4 O -1.41215 -1.56655 -5.03504  0.10
5 C -0.36489 -1.00577 -2.85847  -0.15
6 C 0.93112 -0.32857 -3.31393  -0.08
7 C 1.57447 -1.05422 -4.47372  -0.24
8 C 1.79445 -0.38508 -5.68134  -0.04
9 C 2.28361 -1.08878 -6.78276  -0.07
10 C 2.59778 -2.44860 -6.66009  -0.08
11 C 2.42054 -3.10356 -5.43478  -0.07
12 C 1.91875 -2.40193 -4.33575  -0.04
13 N -1.02761 -0.31523 -1.74751  0.05
14 C -0.40288 -0.13896 -0.56743  0.05
15 C -0.96761 0.53936 0.50229  -0.05
16 C -0.38527 0.73408 1.74483  0.08
17 C -1.03424 1.45018 2.79853  -0.15
18 C -0.37995 1.66078 4.05591  0.04
19 C -0.99436 2.30975 5.11015  0.05
20 C -2.30119 2.82596 4.94580  -0.14
21 N -2.94368 3.53121 5.99354  -0.31
22 O -4.09474 3.98155 5.77448  0.06
23 O -2.35489 3.68358 7.08671  0.08
24 C -2.97619 2.65914 3.72426  0.02
25 C -2.36131 1.99201 2.67498  0.01
26 C -2.36446 0.19852 -2.09263  -0.46
27 C -2.44435 1.73200 -2.06924  0.01
28 C -3.49637 -0.38972 -1.23640  0.01
29 H -3.54157 -0.44440 -5.24259  0.10